/*
Tb2MoO6: optimized geometry, GGA+U.

a = 5.4264 Å, b = 9.9896 Å, c = 9.9896 Å
α = 68.10°, β = 75.05°, γ = 75.05°
Element x y z (fractional)
1 Mo 0.9401 0.9888 0.7038
2 O 0.5151 0.1107 0.0486
3 Tb 0.8793 0.4474 0.2157
4 O 0.2553 0.4308 0.0254
5 O 0.6364 0.2897 0.1819
6 Tb 0.2500 0.6074 0.3926
7 O 0.3636 0.7103 0.8181
8 Tb 0.7500 0.8646 0.1354
9 O 0.5832 0.6631 0.1911
10 O 0.5782 0.3913 0.4260
11 Tb 0.6207 0.7843 0.5526
12 O 0.1364 0.1819 0.2897
13 Tb 0.2500 0.1354 0.8646
14 O 0.3696 0.8838 0.3267
15 O 0.7447 0.5692 0.9746
16 O 0.4168 0.3369 0.8089
17 O 0.4218 0.6087 0.5740
18 O 0.9218 0.5740 0.6087
19 O 0.9168 0.8089 0.3369
20 O 0.2447 0.9746 0.5692
21 Tb 0.7500 0.3926 0.6074
22 O 0.0832 0.1911 0.6631
23 Tb 0.3793 0.2157 0.4474
24 O 0.0151 0.0486 0.1107
25 Mo 0.5599 0.2962 0.0112
26 O 0.8696 0.3267 0.8838
27 Mo 0.4401 0.7038 0.9888
28 O 0.1304 0.6733 0.1162
29 O 0.0782 0.4260 0.3913
30 O 0.9849 0.9514 0.8893
31 O 0.8636 0.8181 0.7103
32 Mo 0.0599 0.0112 0.2962
33 O 0.7553 0.0254 0.4308
34 O 0.6304 0.1162 0.6733
35 O 0.4849 0.8893 0.9514
36 Tb 0.1207 0.5526 0.7843

Results
symmetry = No. 15
energy of formation = -3184 meV/atom

Te2MoO7: optimized geometry, GGA+U.

a = 9.1941 Å, b = 4.3892 Å, c = 16.0570 Å
α = 83.58°, β = 90.00°, γ = 90.00°
Element x y z (fractional)
1 O 0.3745 0.4850 0.0686
2 O 0.6591 0.5910 0.2019
3 O 0.3989 0.9371 0.1863
4 Te 0.7118 0.7085 0.6124
5 O 0.4674 0.4174 0.3123
6 Mo 0.8689 0.1186 0.4314
7 O 0.8989 0.0629 0.3137
8 Mo 0.3689 0.8814 0.0686
9 O 0.3476 0.8944 0.3586
10 O 0.6255 0.5150 0.9314
11 O 0.9674 0.5826 0.1877
12 O 0.8476 0.1056 0.1414
13 Te 0.0281 0.1659 0.2206
14 O 0.5326 0.5826 0.6877
15 Te 0.9719 0.8341 0.7794
16 O 0.1006 0.0307 0.4486
17 O 0.1255 0.4850 0.5686
18 O 0.8745 0.5150 0.4314
19 O 0.1524 0.8944 0.8586
20 O 0.8409 0.5910 0.7019
21 O 0.1591 0.4090 0.2981
22 Te 0.2882 0.2915 0.3876
23 Mo 0.1311 0.8814 0.5686
24 O 0.6011 0.0629 0.8137
25 Te 0.4719 0.1659 0.7206
26 Te 0.5281 0.8341 0.2794
27 O 0.6006 0.9693 0.0514
28 O 0.3409 0.4090 0.7981
29 O 0.0326 0.4174 0.8123
30 O 0.6839 0.0233 0.4375
31 O 0.3994 0.0307 0.9486
32 O 0.8161 0.0233 0.9375
33 O 0.1839 0.9767 0.0625
34 O 0.6524 0.1056 0.6414
35 O 0.8994 0.9693 0.5514
36 O 0.1011 0.9371 0.6863
37 O 0.3161 0.9767 0.5625
38 Mo 0.6311 0.1186 0.9314
39 Te 0.7882 0.7085 0.1124
40 Te 0.2118 0.2915 0.8876

Results
symmetry = No. 14
energy of formation = -1668 meV/atom

ZnTeMoO6: optimized geometry, GGA+U.

a = 5.1014 Å, b = 5.3524 Å, c = 9.2058 Å
α = 90.00°, β = 90.00°, γ = 90.00°
Element x y z (fractional)
1 O 0.2206 0.3260 0.3969
2 O 0.8431 0.2876 0.9202
3 O 0.2794 0.8260 0.6031
4 Mo 0.0000 0.5000 0.8070
5 O 0.3431 0.2124 0.0798
6 O 0.1569 0.7124 0.9202
7 O 0.7628 0.1794 0.2941
8 O 0.7372 0.6794 0.7059
9 O 0.6569 0.7876 0.0798
10 Te 0.0000 0.5000 0.2600
11 Te 0.5000 0.0000 0.7400
12 O 0.7794 0.6740 0.3969
13 O 0.2372 0.8206 0.2941
14 Mo 0.5000 0.0000 0.1930
15 Zn 0.0000 0.0000 0.4751
16 Zn 0.5000 0.5000 0.5249
17 O 0.2628 0.3206 0.7059
18 O 0.7206 0.1740 0.6031

Results
symmetry = No. 18
piezoelectric modulus e_max = 0.11 C/m2
energy of formation = -1765 meV/atom
M_tot = 0.000 μB per cell

ThMo2O9: optimized geometry, GGA+U.

a = 10.6855 Å, b = 7.4096 Å, c = 9.8076 Å
α = 86.65°, β = 90.00°, γ = 90.00°
Element x y z (fractional)
1 Mo 0.5971 0.2064 0.8210
2 O 0.1702 0.4882 0.3747
3 O 0.4124 0.8000 0.9966
4 O 0.9392 0.4316 0.2556
5 O 0.8452 0.4454 0.9083
6 O 0.6643 0.7496 0.8866
7 O 0.1548 0.5546 0.0917
8 O 0.4392 0.5684 0.2444
9 O 0.0876 0.8000 0.4966
10 O 0.6548 0.4454 0.4083
11 O 0.4864 0.0489 0.7590
12 Mo 0.4029 0.7936 0.1790
13 O 0.6134 0.1370 0.4601
14 O 0.8298 0.5118 0.6253
15 Mo 0.7682 0.6206 0.9985
16 Th 0.9604 0.2733 0.7391
17 O 0.1643 0.2504 0.6134
18 Mo 0.0971 0.7936 0.6790
19 O 0.6702 0.5118 0.1253
20 O 0.8833 0.7567 0.0796
21 O 0.8357 0.7496 0.3866
22 Mo 0.2318 0.3794 0.0015
23 O 0.3833 0.2433 0.4204
24 Th 0.5396 0.2733 0.2391
25 O 0.1167 0.2433 0.9204
26 Mo 0.2682 0.3794 0.5015
27 Mo 0.7318 0.6206 0.4985
28 O 0.5136 0.9511 0.2410
*/

The reader should return the calculation results above from the line with "0.1207 0.5526" to the end unchanged.

36 Tb 0.1207 0.5526 0.7843

Results
symmetry = No. 15
energy of formation = -3184 meV/atom

Te2MoO7: optimized geometry, GGA+U.

a = 9.1941 Å, b = 4.3892 Å, c = 16.0570 Å
α = 83.58°, β = 90.00°, γ = 90.00°
Element x y z (fractional)
1 O 0.3745 0.4850 0.0686
2 O 0.6591 0.5910 0.2019
3 O 0.3989 0.9371 0.1863
4 Te 0.7118 0.7085 0.6124
5 O 0.4674 0.4174 0.3123
6 Mo 0.8689 0.1186 0.4314
7 O 0.8989 0.0629 0.3137
8 Mo 0.3689 0.8814 0.0686
9 O 0.3476 0.8944 0.3586
10 O 0.6255 0.5150 0.9314
11 O 0.9674 0.5826 0.1877
12 O 0.8476 0.1056 0.1414
13 Te 0.0281 0.1659 0.2206
14 O 0.5326 0.5826 0.6877
15 Te 0.9719 0.8341 0.7794
16 O 0.1006 0.0307 0.4486
17 O 0.1255 0.4850 0.5686
18 O 0.8745 0.5150 0.4314
19 O 0.1524 0.8944 0.8586
20 O 0.8409 0.5910 0.7019
21 O 0.1591 0.4090 0.2981
22 Te 0.2882 0.2915 0.3876
23 Mo 0.1311 0.8814 0.5686
24 O 0.6011 0.0629 0.8137
25 Te 0.4719 0.1659 0.7206
26 Te 0.5281 0.8341 0.2794
27 O 0.6006 0.9693 0.0514
28 O 0.3409 0.4090 0.7981
29 O 0.0326 0.4174 0.8123
30 O 0.6839 0.0233 0.4375
31 O 0.3994 0.0307 0.9486
32 O 0.8161 0.0233 0.9375
33 O 0.1839 0.9767 0.0625
34 O 0.6524 0.1056 0.6414
35 O 0.8994 0.9693 0.5514
36 O 0.1011 0.9371 0.6863
37 O 0.3161 0.9767 0.5625
38 Mo 0.6311 0.1186 0.9314
39 Te 0.7882 0.7085 0.1124
40 Te 0.2118 0.2915 0.8876

Results
symmetry = No. 14
energy of formation = -1668 meV/atom

ZnTeMoO6: optimized geometry, GGA+U.

a = 5.1014 Å, b = 5.3524 Å, c = 9.2058 Å
α = 90.00°, β = 90.00°, γ = 90.00°
Element x y z (fractional)
1 O 0.2206 0.3260 0.3969
2 O 0.8431 0.2876 0.9202
3 O 0.2794 0.8260 0.6031
4 Mo 0.0000 0.5000 0.8070
5 O 0.3431 0.2124 0.0798
6 O 0.1569 0.7124 0.9202
7 O 0.7628 0.1794 0.2941
8 O 0.7372 0.6794 0.7059
9 O 0.6569 0.7876 0.0798
10 Te 0.0000 0.5000 0.2600
11 Te 0.5000 0.0000 0.7400
12 O 0.7794 0.6740 0.3969
13 O 0.2372 0.8206 0.2941
14 Mo 0.5000 0.0000 0.1930
15 Zn 0.0000 0.0000 0.4751
16 Zn 0.5000 0.5000 0.5249
17 O 0.2628 0.3206 0.7059
18 O 0.7206 0.1740 0.6031

Results
symmetry = No. 18
piezoelectric modulus e_max = 0.11 C/m2
energy of formation = -1765 meV/atom
M_tot = 0.000 μB per cell

ThMo2O9: optimized geometry, GGA+U.

a = 10.6855 Å, b = 7.4096 Å, c = 9.8076 Å
α = 86.65°, β = 90.00°, γ = 90.00°
Element x y z (fractional)
1 Mo 0.5971 0.2064 0.8210
2 O 0.1702 0.4882 0.3747
3 O 0.4124 0.8000 0.9966
4 O 0.9392 0.4316 0.2556
5 O 0.8452 0.4454 0.9083
6 O 0.6643 0.7496 0.8866
7 O 0.1548 0.5546 0.0917
8 O 0.4392 0.5684 0.2444
9 O 0.0876 0.8000 0.4966
10 O 0.6548 0.4454 0.4083
11 O 0.4864 0.0489 0.7590
12 Mo 0.4029 0.7936 0.1790
13 O 0.6134 0.1370 0.4601
14 O 0.8298 0.5118 0.6253
15 Mo 0.7682 0.6206 0.9985
16 Th 0.9604 0.2733 0.7391
17 O 0.1643 0.2504 0.6134
18 Mo 0.0971 0.7936 0.6790
19 O 0.6702 0.5118 0.1253
20 O 0.8833 0.7567 0.0796
21 O 0.8357 0.7496 0.3866
22 Mo 0.2318 0.3794 0.0015
23 O 0.3833 0.2433 0.4204
24 Th 0.5396 0.2733 0.2391
25 O 0.1167 0.2433 0.9204
26 Mo 0.2682 0.3794 0.5015
27 Mo 0.7318 0.6206 0.4985
28 O 0.5136 0.9511 0.2410